To do
Write out everything further down without altering anything.
Contents
Here is a molecular structure, C11H22BFNbO8PdS in a non-equilibrium geometry from the Open Molecules 2025 dataset. Energies are from wB97M-V/def2-TZVPD.

Its HOMO energy is -10.41 eV. The value obtained for the LUMO energy is -7.33 eV. As for the gap between HOMO and LUMO: 3.1 eV.

```
! wB97M-V def2-TZVPD RIJCOSX def2/J DEFGRID3
* xyz 1 1
C 1.39 -1.80 3.08
C 1.43 -1.32 1.98
Nb 1.60 -0.48 0.00
O 2.17 -2.27 -0.63
C 1.33 1.61 0.69
C -0.09 2.11 1.02
C -0.73 1.54 2.30
C -1.98 0.71 2.03
O -1.79 -0.62 2.54
C -2.87 -1.41 2.34
O -3.15 -1.86 1.28
C -0.55 -0.97 -0.47
C -0.77 -1.93 -1.61
C -2.08 -1.52 -2.29
O -1.90 -0.42 -3.11
C -2.44 0.78 -2.68
B 3.90 -0.06 0.49
O 4.25 -0.30 1.75
O 4.62 0.37 -0.53
S 2.14 0.38 -2.37
O 1.00 0.16 -3.21
O 2.63 1.72 -2.31
F 3.33 -0.47 -2.95
H 1.57 -2.06 4.09
H 1.90 -2.92 0.03
H 1.80 2.31 0.00
H 1.91 1.70 1.61
H -0.78 2.05 0.19
H 0.04 3.17 1.20
H 0.00 0.98 2.85
H -1.02 2.36 2.93
H -2.22 0.68 0.97
H -2.83 1.15 2.53
H -3.44 -1.63 3.25
H -0.90 -1.43 0.45
H -1.11 -0.05 -0.63
H 0.04 -2.00 -2.32
H -0.91 -2.93 -1.21
H -2.85 -1.39 -1.54
H -2.39 -2.36 -2.91
H -1.52 1.45 -2.40
H -3.06 0.71 -1.80
H -3.02 1.27 -3.46
H 4.38 0.54 2.22
H 4.67 1.34 -0.57
Pd -1.70 3.08 -2.84
*
```
Done
Here is a molecular structure, C11H22BFNbO8PdS in a non-equilibrium geometry from the Open Molecules 2025 dataset. Energies are from wB97M-V/def2-TZVPD.

Its HOMO energy is -10.41 eV. The value obtained for the LUMO energy is -7.33 eV. As for the gap between HOMO and LUMO: 3.1 eV.

```
! wB97M-V def2-TZVPD RIJCOSX def2/J DEFGRID3
* xyz 1 1
C 1.39 -1.80 3.08
C 1.43 -1.32 1.98
Nb 1.60 -0.48 0.00
O 2.17 -2.27 -0.63
C 1.33 1.61 0.69
C -0.09 2.11 1.02
C -0.73 1.54 2.30
C -1.98 0.71 2.03
O -1.79 -0.62 2.54
C -2.87 -1.41 2.34
O -3.15 -1.86 1.28
C -0.55 -0.97 -0.47
C -0.77 -1.93 -1.61
C -2.08 -1.52 -2.29
O -1.90 -0.42 -3.11
C -2.44 0.78 -2.68
B 3.90 -0.06 0.49
O 4.25 -0.30 1.75
O 4.62 0.37 -0.53
S 2.14 0.38 -2.37
O 1.00 0.16 -3.21
O 2.63 1.72 -2.31
F 3.33 -0.47 -2.95
H 1.57 -2.06 4.09
H 1.90 -2.92 0.03
H 1.80 2.31 0.00
H 1.91 1.70 1.61
H -0.78 2.05 0.19
H 0.04 3.17 1.20
H 0.00 0.98 2.85
H -1.02 2.36 2.93
H -2.22 0.68 0.97
H -2.83 1.15 2.53
H -3.44 -1.63 3.25
H -0.90 -1.43 0.45
H -1.11 -0.05 -0.63
H 0.04 -2.00 -2.32
H -0.91 -2.93 -1.21
H -2.85 -1.39 -1.54
H -2.39 -2.36 -2.91
H -1.52 1.45 -2.40
H -3.06 0.71 -1.80
H -3.02 1.27 -3.46
H 4.38 0.54 2.22
H 4.67 1.34 -0.57
Pd -1.70 3.08 -2.84
*
```